News (1451)
In order to justify the betrayal of the Baha’i leaders, the Baha’i proselytizers pushed their followers towards not paying attention to hometown. Their aims were preventing to like that causes damage for others. However, who is calling tyranny against others as bigotry to hometown?! How can the Baha’i leaders’ betrayal be ignored?!
Baha’ism and the American prescription called the century deal plan for the Palestine land
**Calculated crystals from another source follow:**
~~~
# 1
Density functional theory data (PBE) for a geometry-optimized Ti4Fe5Sb5 structure.

Summary:
* calculated formation energy: 0.00 eV per atom
* E_tot: -6.689 eV per atom

Cell lengths 3.2988, 3.2988, 78.3167 Å; angles 90.00, 90.00, 120.00 degrees
Space group R3m (No. 160, hexagonal axes)
Asymmetric unit:
Ti  0.0000  0.0000  0.0000 [3 per cell]
Ti  0.0000  0.0000  0.1905 [3 per cell]
Ti  0.0000  0.0000  0.4047 [3 per cell]
Ti  0.0000  0.0000  0.5954 [3 per cell]
Fe  0.0000  0.0000  0.1398 [3 per cell]
Fe  0.0000  0.0000  0.3542 [3 per cell]
Fe  0.0000  0.0000  0.5444 [3 per cell]
Fe  0.0000  0.0000  0.7585 [3 per cell]
Fe  0.0000  0.0000  0.9492 [3 per cell]
Sb  0.0000  0.0000  0.0436 [3 per cell]
Sb  0.0000  0.0000  0.2337 [3 per cell]
Sb  0.0000  0.0000  0.4492 [3 per cell]
Sb  0.0000  0.0000  0.6385 [3 per cell]
Sb  0.0000  0.0000  0.8290 [3 per cell]

=====

# 2
Density functional theory data (PBE) for a geometry-optimized RbLaSiS4 structure.

Summary:
* calculated formation energy: -1.77 eV per atom
* E_tot: -5.467 eV per atom

Cell lengths 17.569, 6.696, 6.633 Å; angles 90.00, 90.00, 90.00 degrees
Space group Pnma (No. 62)
Asymmetric unit:
Rb  0.216  0.250  0.035 [4 per cell]
La  0.025  0.750  0.713 [4 per cell]
Si  0.088  0.750  0.215 [4 per cell]
S  0.029  0.250  0.870 [4 per cell]
S  0.107  0.000  0.409 [8 per cell]
S  0.161  0.750  0.962 [4 per cell]

=====

# 3
Density functional theory data (PBE) for a geometry-optimized KU3 structure.

Summary:
* calculated formation energy: 0.88 eV per atom
* E_tot: -7.868 eV per atom

Cell lengths 4.845, 14.831, 9.597 Å; angles 90.00, 120.26, 90.00 degrees
Space group P2_1/c (No. 14)
Asymmetric unit:
K  0.007  0.024  0.287 [4 per cell]
U  0.015  0.731  0.504 [4 per cell]
U  0.317  0.221  0.826 [4 per cell]
U  0.356  0.733  0.844 [4 per cell]

=====

First-principles (PBE) data for a relaxed Cs2YSi4O10F crystal, as listed in the Materials Project database.

Results
- Energy relative to the elements: -59.57 eV per formula unit
- Size of the total moment: 0.0 μB per cell

Lattice parameters (Å, degrees): 22.689 8.994 12.151 90.00 90.00 90.00
Element x y z (fractional)
Cs 0.016 0.250 0.048
Cs 0.043 0.250 0.443
Cs 0.228 0.250 0.180
Cs 0.237 0.250 0.623
Cs 0.263 0.750 0.123
Cs 0.272 0.750 0.680
Cs 0.457 0.750 0.943
Cs 0.484 0.750 0.548
Cs 0.516 0.250 0.452
Cs 0.543 0.250 0.057
Cs 0.728 0.250 0.320
Cs 0.737 0.250 0.877
Cs 0.763 0.750 0.377
Cs 0.772 0.750 0.820
Cs 0.957 0.750 0.557
Cs 0.984 0.750 0.952
Y 0.151 0.000 0.903
Y 0.151 0.500 0.903
Y 0.349 0.000 0.403
Y 0.349 0.500 0.403
Y 0.651 0.000 0.597
Y 0.651 0.500 0.597
Y 0.849 0.000 0.097
Y 0.849 0.500 0.097
Si 0.020 0.072 0.750
Si 0.020 0.428 0.750
Si 0.112 0.569 0.196
Si 0.112 0.931 0.196
Si 0.117 0.571 0.623
Si 0.117 0.929 0.623
Si 0.190 0.569 0.411
Si 0.190 0.931 0.411
Si 0.310 0.069 0.911
Si 0.310 0.431 0.911
Si 0.383 0.071 0.123
Si 0.383 0.429 0.123
Si 0.388 0.069 0.696
Si 0.388 0.431 0.696
Si 0.480 0.572 0.250
Si 0.480 0.928 0.250
~~~
**The entry goes on:**
Written by Super UserBahaismiran:
The claimants of general peace or the oneness of humane world has reacted to selling Palestine to the kid-killer Zionists. Not only the Baha’ism organization don’t believe in defending the people of Palestine, but also it defends the usury government of Israel via media. Thus, One of the Baha’i media has considered it as the factor for peace and progress and defended the plan which stabilizes the Zionists’ occupations indirectly.
The Baha’i commandment - part 12 The commandment of adultery in Baha’ism
Written by Super UserBahaismiran:
It is safe to be said that one of the most ridiculous Baha’i commandments is the one issued by the Baha’i leaders concerning adultery.
Rouzbahani: The Baha’ism history has been accompanied by betrayal, sedition and superstition
Written by Super UserBahaismiran:
Addressing the researchers searching in the field of cults and religions in Tabriz city, Hujjatul Islam Rouzbahani stated that the Baha’ism cult is 176 years of age which has been accompanied by betrayal, sedition and superstition. He reminded that the Baha’ism gift has never been beneficial and during history, this cult has never been used favorably.
The Baha’ism leaders introduced the necessity for adjusting livelihood as his innovative teaching; while the religion of Islam has mentioned this issue many times before Baha’ism and has offered strategies for its fulfillment. On the other side, Baha’ism has taken an important step in the opposite direction of achieving this goal by prescribing usury and announcing war against the Almighty God!
Draining identity out of him/herself and his/her identity in the cult is happening during a process called brainwashing.
Contradiction in principles and action: women’s in capabilities stated by Abdul Baha
Written by Super UserBahaismiran:
The Baha’ism leaders have claimed for the equality between men and women to be invented by themselves. Consequently, Abdul Baha has called both of them as the same shouting the slogan of the lack of difference between men and women. However, contrary to this claim, Abdul Baha has addressed women and called them as incapable!
The Behavior of the deviant cult of Baha’ism is a model of wild ones of ISIS
Written by Super UserBahaismiran:
Hujjatul Islam Ali Reza Rouzbahani who is the attendant of a committee criticizing Baha’ism stated that the devian0t cult of Baha’ism is a political thought which destroys religious thought and the pure thoughts of Islam. This thought makes the youth minds ill. It is an organizational cult and a party movement. It is continually penetrating the country pillars and decision making foundations.